Winterlight Siberians

About imageAbout imageAbout image
  A small cattery for the beautul forest cat of russia the Siberian a medium length  triple coated hypoallergenic cat of a very loving doglike personality.I have imported my cats from top European breeders.  ALL cats and kittens are health checked , kittens are vaccinated at least once and wormed before leaving for new home.  I am a pet care professional for many years owning and working in pet grooming and supply shops. I have been grooming and breeding,showing dogs and cats for over 35 years. For your consideration here are my cats and available kittens.The price is $1500 to $1800 depending on color or rare colors like golden.  A non refundable deposit is required  of $500  to hold until pick up.This includes worming 1 vaccination at 10 weeks and box training.KITTENS from Kalani & Berlioz “Bear” are coming by april 5,   Tsarevna & Berlioz kittens due April 12 2025 ODESSA & Tom kittens will arrive in  summer. Reserve on the waitlist  deposit of $ 250 full deposit is $500 the rest pay after birth to hold a kitten. Final payment at pickup of your kitten.CALL OR TEXT. 740-646-1813   EASTER KITTENS COMING!! Kalani is really getting big and so is Tsarevna. 

CH.Tom Siberian Sapphire

head cat

From a top Siberian cattery in Ukraine a blue solid

Vistula Berlioz

second head honcho

From an outstanding Siberian cattery in Poland , a blue golden

• Materials data that have nothing to do with the text:
........
Diffraction record for Cu4Ag3. The powder diffraction line list is theoretical, not measured: it uses the GGA-PBE geometry in OQMD and CuKα.

Peak list (12 most intense, 2θ from 10° to 90°, by intensity)
| 2θ (°) | Rel. int. |
| --- | --- |
| 40.9 | 1000 |
| 40.0 | 984 |
| 45.2 | 684 |
| 70.2 | 353 |
| 50.7 | 259 |
| 81.1 | 224 |
| 88.7 | 197 |
| 79.3 | 185 |
| 28.1 | 139 |
| 67.1 | 105 |
| 88.2 | 92 |
| 64.5 | 86 |

Cell and atoms:
```
Cu4Ag3
1.0
2.790 0.000 0.000
0.000 3.601 0.000
0.000 0.000 20.213
Cu Ag
8 6
direct
0.000 0.000 0.073 Cu
0.000 0.000 0.367 Cu
0.000 0.000 0.633 Cu
0.000 0.000 0.927 Cu
0.500 0.500 0.133 Cu
0.500 0.500 0.427 Cu
0.500 0.500 0.573 Cu
0.500 0.500 0.867 Cu
0.000 0.000 0.207 Ag
0.000 0.000 0.500 Ag
0.000 0.000 0.793 Ag
0.500 0.500 0.000 Ag
0.500 0.500 0.293 Ag
0.500 0.500 0.707 Ag
```

---

Diffraction record for Y2AuC. The powder diffraction line list is theoretical, not measured: it uses the GGA-PBE geometry in OQMD and CuKα.

Peak list (12 most intense, 2θ from 10° to 90°, by intensity)
| 2θ (°) | Rel. int. |
| --- | --- |
| 33.9 | 1000 |
| 27.9 | 251 |
| 49.3 | 248 |
| 12.6 | 201 |
| 64.2 | 186 |
| 61.2 | 180 |
| 82.3 | 157 |
| 38.4 | 139 |
| 48.1 | 128 |
| 42.8 | 109 |
| 28.6 | 99 |
| 66.6 | 77 |

Cell and atoms:
```
Y2AuC
1.0
5.548 -3.202 0.000
5.548 3.202 0.000
-3.707 0.000 14.053
Y Au C
12 6 6
direct
0.032 0.865 0.595 Y
0.135 0.968 0.905 Y
0.198 0.365 0.095 Y
0.301 0.468 0.405 Y
0.365 0.198 0.595 Y
0.468 0.301 0.905 Y
0.532 0.699 0.095 Y
0.635 0.802 0.405 Y
0.699 0.532 0.595 Y
0.802 0.635 0.905 Y
0.865 0.032 0.095 Y
0.968 0.135 0.405 Y
0.085 0.248 0.750 Au
0.248 0.085 0.250 Au
0.416 0.584 0.750 Au
0.584 0.416 0.250 Au
0.752 0.915 0.750 Au
0.915 0.752 0.250 Au
0.000 0.500 0.500 C
0.167 0.667 0.000 C
0.333 0.833 0.500 C
0.500 0.000 0.000 C
0.667 0.167 0.500 C
0.833 0.333 0.000 C
```

---

Diffraction record for Tl2Au. The powder diffraction line list is theoretical, not measured: it uses the GGA-PBE geometry in OQMD and CuKα.

Peak list (12 most intense, 2θ from 10° to 90°, by intensity)
| 2θ (°) | Rel. int. |
| --- | --- |
| 29.3 | 1000 |
| 42.0 | 488 |
| 41.0 | 148 |
| 51.2 | 147 |
| 52.8 | 104 |
| 69.0 | 100 |
| 42.9 | 97 |
| 69.0 | 95 |
| 75.3 | 88 |
| 60.8 | 75 |
| 67.6 | 62 |
| 78.0 | 47 |

Cell and atoms:
```
Tl2Au
1.0
16.864 0.000 0.000
0.000 9.125 0.000
0.000 0.000 4.404
Tl Au
16 8
direct
0.018 0.177 0.000 Tl
0.111 0.484 0.518 Tl
0.133 0.846 0.502 Tl
0.250 0.149 0.998 Tl
0.250 0.510 0.018 Tl
0.367 0.846 0.502 Tl
0.389 0.484 0.518 Tl
0.482 0.177 0.000 Tl
0.518 0.823 0.000 Tl
0.611 0.516 0.518 Tl
0.633 0.154 0.502 Tl
0.750 0.490 0.018 Tl
0.750 0.851 0.998 Tl
0.867 0.154 0.502 Tl
0.889 0.516 0.518 Tl
0.982 0.823 0.000 Tl
0.000 0.500 0.019 Au
0.134 0.166 0.499 Au
0.250 0.826 0.002 Au
0.366 0.166 0.499 Au
0.500 0.500 0.019 Au
0.634 0.834 0.499 Au
0.750 0.174 0.002 Au
0.866 0.834 0.499 Au
```

---
........
• End of the materials data:

Sar Sibi Tsarevna

Head mama

From Russia brown spotted tabby

Winterlight Kalani

Head daughter

Beautiful Excellent type Very friendly out of Sar Sibi Tsarevna and Tom Siberian Sapphire a black k silver spotted tabby

Winterlight Odessa

second head daughter

A golden out of Sar Sibi Tsarevna and Vistula Berlioz

  • South Point, OH, USA

email, text or phone for available kittens

Kittens love  high places, cat trees, sofa beds, cat toys ,and cat nip. They like clean fresh water large bowls of food ,bedding and litter.Kittens want to be part of your family,to be involved in your  daily life and of course to be treated like the king or queen they think they are. Here are a few tips to help you and your new kitten, and links and resources for health ,longevity .              
Bring a Sherpa bag or small crate with you when you pick up kitten. Kittens startle easily so it is important to be calm and quiet especially when you first see your kitten, The kitten will take time to adjust to a new environment Sometimes it takes days to weeks again patience is the key. Let the kitten adjust at his or her own pace , sometimes they dont eat much , be patient while he or she acclimates, Sometimes a wire crate is a good safe place for kitten to adjust ,keep food water, bed,litter box in it. Allow time and opportunity for them to adjust to you and their new hoOME.

   Kittens chew and chase everything . It is important to not let them not have acess to electric cords, wire,plastic,plants ,rubber bands pieces of stuffing from toys anything they might chew or eat .This could cause a stomach blockage and be life threatening not to mention a large Vet bill.  
  It is not  a good idea to let the kitten or cat outside they can look out and be happy and safe inside without being exposed to the dangers of cars, birds of prey such as hawks and snakes,also other cats feral or neighbors which can expose them to serious diseases and cat fights, A catio or large wired enclosure is the best option for outdoors.
 Kittens get into everything. They can climb into open washers and dryers refrigerators ,reclining chairs anything you can think of. When you cannot supervise put in the crate or safe room. 

 Vaccinating your kitten 
  Please make informed decisions .read and keep up with current research , Overvaccinting ,and the use of the wrong vaccine can affect the quality and length of your kittens life. Once the 2 kitten vaccines it is a 3 way vaccine ,are given the last being done after 4 months and not more than 3 total a month apart ; your kitten is usually fully immunized for life against Panleukopenia  a life threatening cat distemper , the 2 rhino viruses do not give full immunity but will help give  good protection against severe illness. The feline leukemia vaccine is not neede as the parents are all tested and never go outside among feral cats . Rabies is up to you but as the cat should never go outside you can make your own informed decision . If you have to give it only use the non -adjuvanted Merial brand. Yearly vaccinating is useless except to vet cash flow  and can actually cause more ill health and lack of longevity. These  2 studies provide  a good start towards informative research: THE CORNELL STUDY ON FELINE VACCINES, and  VACCINES for CATS.

Kittens love balls , pipe cleaners bouncing toys ,soft beds etc . They expect to be a big part of your family and daily life.


Breed standard for Siberian cats
Fifes EMS color codes
Vaccines for cats
WCF World Cat Association
 World Pedegree Database for Siberian Cats
Application to buy cat or kitten please fill and send